Closed IjazAhmed closed 3 years ago
Why did you parse and modify class with "org.eclipse.jdt.core.dom.AST". It's not a JP API. Also it seems that in your example the Java Modeling Language syntax is not correct.
Comments and JML are preserved in the example below :
public void test1() {
String code =
"public class ClassB {\n" +
" int b;\n" +
" /*@ public normal_behavior\n" +
" @ requires a > 5;\n" +
" @ ensures b == 16;\n" +
" @*/\n" +
" public void test1 (int a) {\n" +
" b=16; // This is my comment.\n" +
" }\n" +
CompilationUnit cu = StaticJavaParser.parse(code);
MethodDeclaration md = cu.findFirst(MethodDeclaration.class).get();
Expression assertExpr = new BinaryExpr(new NameExpr("a"), new IntegerLiteralExpr(), Operator.GREATER);
md.getBody().get().getStatements().addFirst(new AssertStmt(new EnclosedExpr(assertExpr)));
md.getBody().get().getStatements().addLast(new AssertStmt(new EnclosedExpr(assertExpr)));
the result is
public class ClassB {
int b;
Misplaced records of molecules:
=====
Record 1
Density functional theory data (the ωB97M-V functional and the def2-TZVPD basis) for a structure of composition C2H5PS.

Its total charge is 0. As for the energy above the lowest of the compared OMol25 structures with the same formula, charge and spin: 202.5 kJ/mol. For the HOMO energy, the calculation gives -8.41 eV.

Structure (XYZ):
```
9
Properties=species:S:1:pos:R:3:forces:R:3
C 1.22308 -0.45238 -0.15588 -0.59 -0.17 1.12
C 0.14854 0.49126 -0.52123 -2.50 -0.67 1.96
P -2.19928 -0.10640 -0.16859 3.78 -0.84 -1.75
S 0.98800 0.93638 1.02926 -0.20 0.29 -0.49
H 0.94252 -1.33129 0.50448 0.59 0.63 -1.81
H 2.14297 -0.37721 -0.74467 -0.28 -0.61 0.36
H 0.26271 1.25045 -1.24621 0.11 0.26 -0.97
H -2.13595 0.73187 0.88612 0.07 0.79 1.41
H -1.37258 -1.14268 0.41673 -0.98 0.31 0.17
```
Positions in Å, forces in eV/Å.

Which charges does Löwdin predict for the atoms? In e, they are: -0.498 -0.654 0.732 0.670 0.066 0.069 0.012 -0.231 -0.165

Record 2
Density functional theory data (the ωB97M-V functional and the def2-TZVPD basis) for a cluster of 7 separate species, C48H44F6N2O in total.

Its total charge is 0. For the HOMO energy, the calculation gives -8.62 eV. As for the structure (SMILES): CCCOCc1cnc2ccccc2n1.Fc1ccccc1.Fc1ccccc1.Fc1ccccc1.Fc1ccccc1.Fc1ccccc1.Fc1ccccc1.

Structure (XYZ):
```
101
Properties=species:S:1:pos:R:3:forces:R:3
C -3.20708 -1.06440 2.27406 -0.19 -0.65 1.17
C -3.29984 -2.40237 1.38535 -0.94 0.75 -0.25
C -3.48252 -2.06850 -0.18647 -0.81 -2.06 0.89
O -2.21971 -2.05299 -0.89958 -0.96 2.11 0.33
C -1.85048 -0.74161 -1.36447 1.81 0.48 -1.10
C -0.52958 -0.13122 -0.63335 0.19 0.50 0.35
C 0.10180 -0.96810 0.52034 2.01 2.38 -0.24
N 1.28763 -0.55403 1.20240 -2.92 1.67 -3.80
C 1.81336 0.68857 0.70449 0.41 0.58 0.00
C 3.14956 1.21437 1.36370 -0.36 2.64 -2.33
C 3.80324 2.53276 0.90260 -3.34 -2.48 -0.64
C 3.11895 3.36896 -0.22837 -2.40 -3.20 0.39
C 1.81197 2.84767 -0.85666 2.22 -0.45 2.08
C 1.11505 1.48910 -0.41764 1.89 1.79 -0.02
N -0.07745 1.12563 -1.13414 1.84 -4.12 4.31
H -2.13693 -0.80753 2.59611 -1.57 -0.23 -0.74
H -3.72976 -0.15852 1.81011 0.84 -1.34 0.43
H -3.77930 -1.29022 3.25720 0.98 0.52 -1.49
H -2.42596 -3.11399 1.57554 -1.10 1.07 -0.44
H -4.25611 -2.96704 1.71677 1.51 0.89 -0.62
H -4.13808 -1.14437 -0.32798 1.19 -0.98 0.14
H -4.08847 -2.95585 -0.62535 1.04 1.41 0.52
H -1.52781 -0.86856 -2.47196 -0.53 0.26 1.72
H -2.68802 0.03341 -1.37066 1.00 -1.12 0.31
H -0.36323 -1.96780 0.84361 0.75 1.87 -0.67
H 3.65088 0.57449 2.18226 -1.04 1.15 -1.52
H 4.78056 2.84842 1.39835 -1.60 -0.38 -0.88
H 3.60285 4.33849 -0.60142 -0.92 -1.71 0.64
H 1.31363 3.47370 -1.68745 0.85 -1.26 1.52
F -7.86480 -0.30790 -0.55369 0.02 0.14 -0.07
C -7.89851 -1.51223 0.03806 -0.03 -0.73 0.37
C -8.75703 -1.72262 1.10598 -0.10 0.14 0.04
C -8.79520 -2.97260 1.71586 0.26 -0.04 -0.26
C -7.96659 -3.99461 1.25760 -0.02 -0.03 0.05
C -7.10495 -3.77020 0.18762 -0.21 0.16 0.17
C -7.07453 -2.52377 -0.42940 0.10 0.09 -0.14
H -9.38821 -0.91314 1.45390 0.05 -0.03 -0.06
=====
/*@ public normal_behavior
@ requires a > 5;
@ ensures b == 16;
public void test1(int a) {
assert (a > 0);
// This is my comment.
b = 16;
assert (a > 0);
Thank you for your consistent support. I am also very close to achieve my goal, albeit with the aid of orthodox ""...core.dom.AST" :). I googled the jar file for "StaticJavaParser", but I could not find a one. Can you please direct me to the link of the jar file?
Unrelated to this piece: calculated molecules =
+++
# 1
C55H38N8O6S6Sn | ωB97M-V with the def2-TZVPD basis set

## Properties
- multiplicity = 1
- charge = -2
- energy (eV) = -152701.3364
- HOMO-LUMO gap (eV) = 4.4
- ΔE to the lowest compared entry with this formula, charge and spin (eV) = 1.367

```
114
Properties=species:S:1:pos:R:3:forces:R:3:mulliken_charge:R:1
Sn -0.723356 -0.862400 -0.158479 -1.21 -0.82 0.54 1.75
S 4.380544 2.106000 4.934821 -0.45 0.25 -0.27 -0.30
C 3.869244 3.707300 5.303921 0.13 -0.24 -0.04 -0.39
C 2.783744 4.075000 4.576021 0.21 0.18 0.24 -0.62
C 2.339144 3.059900 3.705621 0.11 -0.50 -0.16 -0.25
C 3.095744 1.920800 3.764721 0.29 0.70 0.60 0.50
C 2.929144 0.695800 3.022021 0.22 -0.89 -0.28 0.64
C 1.925144 0.609200 2.026321 0.42 0.20 0.21 -1.55
N 1.684844 -0.465800 1.338821 -0.03 -0.19 -0.14 0.91
C 2.456744 -1.541600 1.514121 0.62 0.10 0.64 -0.91
C 3.517344 -1.569000 2.452221 -0.47 0.11 -0.32 0.62
C 4.330144 -2.733500 2.549421 0.10 -0.38 -0.08 -0.96
C 4.122544 -3.802900 1.742521 0.21 0.14 0.29 -1.07
C 3.088944 -3.795500 0.760921 -0.41 0.39 -0.12 0.75
C 2.863044 -4.859800 -0.122879 -0.49 0.14 -0.42 -1.19
C 1.864144 -4.751900 -1.077579 0.49 0.39 0.78 0.35
C 1.109844 -3.557600 -1.103479 0.31 -0.58 -0.26 0.21
N 1.282644 -2.575500 -0.273179 -0.15 0.26 0.04 1.47
C 2.245444 -2.663000 0.653921 0.46 -0.66 0.07 -0.87
C 1.530844 -5.802400 -2.008579 -0.03 -0.90 -0.49 0.56
C 0.502444 -5.843800 -2.913179 0.32 0.21 0.34 -0.19
C 0.439044 -7.059300 -3.625179 0.13 -0.29 -0.10 -0.83
C 1.416244 -7.934300 -3.273679 0.18 0.06 0.20 -0.29
S 2.442144 -7.294700 -2.050079 -0.46 0.32 -0.21 -0.27
C 3.722644 -0.419700 3.226821 -0.35 0.38 -0.15 -1.30
H 4.403444 4.269600 6.045021 0.06 0.17 0.12 0.46
H 2.301144 5.033000 4.663321 -0.07 0.12 0.06 0.45
H 1.467044 3.150800 3.085021 -0.24 -0.01 -0.13 0.42
H 1.300344 1.453800 1.802021 -0.04 0.19 -0.03 0.99
H 5.125044 -2.739400 3.283221 0.08 -0.05 0.05 0.43
H 4.747444 -4.682900 1.820921 0.06 -0.05 0.02 0.42
H 3.461644 -5.760300 -0.057979 0.09 -0.01 0.08 0.40
H 0.335444 -3.421200 -1.834179 -0.03 -0.23 0.09 -1.47
H -0.176556 -5.026500 -3.087279 -0.14 0.18 0.00 0.54
H -0.310056 -7.266700 -4.369579 -0.09 -0.05 -0.12 0.41
H 1.602544 -8.920800 -3.650779 -0.01 -0.19 -0.12 0.44
H 4.513144 -0.397900 3.967421 0.05 -0.10 0.04 0.39
C -3.838156 2.411800 -6.211579 0.07 0.06 0.01 -1.67
C -3.216256 1.296700 -5.431679 -0.02 0.00 0.06 1.33
C -2.539056 0.278200 -6.092979 0.07 0.03 0.06 -1.02
C -1.899456 -0.717100 -5.377379 -0.03 -0.08 -0.31 -1.08
C -1.912956 -0.690800 -3.994979 0.27 -0.49 -0.05 0.35
C -2.577556 0.313700 -3.323779 -0.13 0.05 0.22 -0.26
C -3.248856 1.286500 -4.043879 0.00 -0.15 -0.24 -1.31
S -0.944056 -1.961500 -3.174679 -0.47 -0.69 0.49 1.38
O -0.940056 -3.111900 -4.069779 -0.25 0.17 -0.35 -0.83
O 0.359644 -1.372500 -2.959979 0.37 0.28 -0.12 -0.04
N -1.520056 -2.356400 -1.754579 1.78 1.05 -0.94 0.21
C -2.858456 -2.798200 -1.691379 -1.48 0.24 0.54 -1.08
C -3.795056 -1.696900 -1.057879 0.33 -1.30 -0.84 0.45
O -4.996756 -1.877400 -1.193479 -1.07 -0.10 -0.05 -0.85
+++
StaticJavaParser is a JP class mainly uses in tests. You cannot use StaticJavaParser with another parser . What is this project org.eclipse.jdt.core.dom.AST ? Why did you use org.eclipse.jdt.core.dom.AST and Javaparser at the same time? I don't really understand what you are doing? Can you explain to us what you want to do from JP?
In my post, "org.eclipse.jdt.core.dom.AST" means JDT APIs. I am not using JDT APIs and JP API at the same time. Currently, I programmed the application by using JDT APIs. But I too want to explore JP APIs, so that in future I may port my application to JP, if required. Anyhow, thank you for your guidance regarding StaticJavaParser and JP.
Interesting. What is the pros and cons of JDT APIs (versus JP or another solution)?
=====
(1)
44
Properties=species:S:1:pos:R:3 method="wB97M-V/def2-TZVPD" homo_lumo_gap_ev=9.285 total_energy_ha=-2338.7535 total_charge=+2
Lu -0.204 -0.079 0.765
C -2.980 1.056 4.110
C -1.657 0.972 3.713
N -1.562 0.437 2.489
N -2.843 0.166 2.085
C -3.696 0.535 3.046
B -3.214 -0.432 0.706
N -2.492 -1.809 0.499
C -3.062 -2.924 0.035
C -2.111 -3.932 -0.022
C -0.950 -3.342 0.443
N -1.169 -2.058 0.760
N -2.797 0.573 -0.420
C -3.576 1.076 -1.380
C -2.842 1.985 -2.129
C -1.586 1.976 -1.552
N -1.552 1.131 -0.512
H -3.367 1.439 5.038
H -0.768 1.269 4.248
H -4.761 0.405 2.917
H -4.391 -0.609 0.639
H -4.112 -2.940 -0.220
H -2.256 -4.951 -0.341
H 0.028 -3.778 0.574
H -4.606 0.768 -1.472
H -3.181 2.570 -2.968
H -0.708 2.541 -1.827
O 2.073 0.096 0.706
C 2.005 -0.264 -0.523
O 0.910 -0.549 -1.059
C 3.273 -0.281 -1.340
N 4.459 -0.296 -0.398
C 5.496 0.646 -0.972
C 4.622 1.763 -1.510
C 3.455 1.017 -2.175
H 3.291 -1.170 -1.963
H 4.822 -1.234 -0.234
H 4.123 0.064 0.502
H 6.005 0.105 -1.768
H 6.208 0.917 -0.199
H 5.164 2.398 -2.205
H 4.270 2.391 -0.688
H 3.697 0.746 -3.200
H 2.542 1.606 -2.201

=====

(2)
47
Properties=species:S:1:pos:R:3 method="wB97M-V/def2-TZVPD" homo_lumo_gap_ev="4.709 / 4.700" de_lowest_kj_mol=134.62 total_energy_ha=-5384.5105 total_charge=+1
Pt -0.796 0.115 -0.288
O -2.242 -4.520 3.468
C -1.886 -3.445 2.768
C -2.182 -2.138 3.144
C -1.784 -1.111 2.326
N -1.097 -1.314 1.189
C -0.820 -2.576 0.842
Br 0.102 -2.817 -0.789
C -1.177 -3.667 1.586
H -2.743 -4.280 4.259
H -2.739 -1.916 4.044
H -2.019 -0.085 2.563
H -0.938 -4.670 1.267
C -1.998 1.815 -3.383
C -0.553 1.594 -3.090
C 0.436 1.886 -4.043
C 1.776 1.739 -3.737
C 2.179 1.300 -2.479
C 1.179 1.024 -1.559
N -0.147 1.182 -1.897
N 1.222 0.531 -0.289
Si 2.643 0.393 0.802
C 3.605 1.981 0.672
C 1.954 0.086 2.505
C 3.653 -1.049 0.195
H -2.122 2.805 -3.821
H -2.623 1.726 -2.499
H -2.343 1.084 -4.116
H 0.124 2.259 -5.007
H 2.522 1.968 -4.486
H 3.216 1.154 -2.225
H 2.965 2.861 0.741
H 4.177 2.044 -0.253
H 4.320 2.026 1.497
H 0.863 0.070 2.507
H 2.263 0.872 3.195
H 2.309 -0.867 2.900
H 4.135 -0.847 -0.762
H 3.049 -1.951 0.091
H 4.443 -1.263 0.920
O -4.067 1.551 -0.433
S -4.330 0.100 -0.134
O -4.122 -0.181 1.267
O -5.504 -0.392 -0.771
S -2.735 -0.796 -1.179
I -2.154 2.325 0.602
I -0.014 3.396 1.889

=====

(3)
35
Properties=species:S:1:pos:R:3 method="wB97M-V/def2-TZVPD" homo_lumo_gap_ev=4.012 total_energy_ha=-3332.9526 total_charge=-2
C -2.456 -0.670 -0.397
C -2.252 -1.167 0.912
C -2.308 -0.071 1.810
H -2.077 -2.196 1.180
C -2.504 1.101 1.055
C -2.577 0.737 -0.313
H -2.691 1.414 -1.143
H -2.466 -1.253 -1.301
H -2.167 -0.122 2.876
H -2.538 2.106 1.442
Sn -0.531 0.169 0.409
Br 0.612 -0.663 -1.351
C 2.240 0.845 -4.500
C 1.150 1.627 -4.929
C 0.167 0.760 -5.446
H 1.080 2.709 -4.872
C 0.650 -0.560 -5.336
C 1.932 -0.507 -4.752
H 2.568 -1.358 -4.534
H 3.157 1.217 -4.054
H -0.792 1.055 -5.856
H 0.128 -1.458 -5.647
C 0.273 0.994 3.748
C 1.080 -0.105 3.043
C 1.796 -0.965 4.092
C 0.193 -0.989 2.139
H -0.501 0.551 4.410
=====
sure. I will write once my study complete.
Regards Ijaz
Lets assume, the original code of ClassB is given below.
public class ClassB { int b; /@ public normal_behavior @ requires a > 5; @ ensures b == 16; @/ public void test1 (int a) { b=16; // This is my comment.
} I am using "org.eclipse.jdt.core.dom.AST" to parse and modify classB. After modifying the original code (indeed AST), I saved the modified AST with the aid of "ICompilationUnit. save()" method. The modified code of ClassB is given below.
public class ClassB { int b; public void test1 (int a) { assert (a >5); b=16; assert(b==16); } Basically, I added the assertion statements in at the start and end of a method.
Now the problem that I am facing is that as AST does not contain comments, so when I rewrite the AST, I loose all code comments, including my JML contract (/@ public normal_behavior @ requires a > 5; @ ensures b == 16; @/) and comment (// This is my comment.)
I understand that there is a method "CompilationUnit.getCommentList()" that may give me the list of comments, but then I loose track that which comment (contract) belong to which line. So any advise, what is a most straight way to deal it?